
发布时间:2019-05-22 11:52:28   来源:文档文库   




道歉信 中文+英文 道歉信 时间已经过去一年了。这一年,我们有过快乐的时光、痛苦的回忆、无知的困惑和感人的时刻。然而,快乐和感动都是你带来的,痛苦和困惑却因我而起。我承认在我们约会期间对你胡思乱想,对待你的态度不合适,强迫你做自己不喜欢的事。还一次次的让你哭泣,尽管我知道你是一个敏感的女孩儿。我也不够体贴因为总是忽略你内心的感受。 回顾那次事情。随着矛盾日益增加,爬山的事成为你爆发的导火索。你在山腰跟我说的话真正地伤了我的心。然而,这是我应得的。我们分手的原因就是由于我武断的行为和漫不经心的心态,这也导致现在让你我尴尬的现状。即使现在,我们也不能像以前一样互相打招呼。总的来说,一切都是我的错。当我说这句话时,心里感到深深的愧疚感。然而,这是我应受的责备。 我真正想说的是我现在还想你。多少平静的梦乡中,你总会出现,这也是我做过的最幸福的梦。每次遇见你,我都努力装作没看见你,故作镇定,可总禁不住想看你一眼,想知道你最近过得怎么样。虽然我现在上课不多,但每次上课,也都会寻找你的身影。我越来越不能压抑自己的情感。 如果我改变态度了呢?我想知道你是否会给我一个机会来弥补你因我而受伤的心灵。 真诚至上 It has alread been one ear. This ear, e have been through happiness, pain, onfusion and impressive. Yet, most of the happiness and impressive as brought b ou, pain and onfusion as brought b me. I onfess that I had mixed thoughts during our date time. M attitude toard ou as not proper. I made ou do things that ou don’t like. Even I kne that ou are a sensitive girl, I still made ou r more than one. I as not a onsiderate bo for I disregarded our deep feelings. Look bak on that so alled big problem. As the onflits developed, the mountain limbing as the point that ou broke out. What ou said in the middle of the mountain trul hurt m feeling. Nevertheless, I deserved this. The reason that e broke up as due to m arbitrar behavior and asual attitude, hih led us to this situation that make us akard. Even no, e ouldn’t greet eah other as e did before. Generall, it as all m fault. When I said this, I felt great guilt from the bottom of m broken heart. Hoever, I as be to blamed for this. What I reall ant to tell ou is that I still miss ou right no. I dreamed about ou in m peaeful dream that is the happiest dream ever I thought. I tried to pretend to ignore ou and be alm When I met ou. But I ouldn’t help glaning ou for I ant to kno ho ou are going. Though I barel ent to lassroom, hen I did, I ould find here ou sit. I an’t onstrain m emotion. But hat if I hanged m attitude ? I just ondered if ou ould give me another hane to make up our broken heart that one as broken b me. Yours sinerel, Frank


英语失约道歉信怎么写 道歉信 letter of apolog我们在工作或生活中,有时难免会犯一些错误,写封致歉信就显得很有必要。道歉信通 常包括以下内容:

表示歉意;道歉的原由;出现差错的原因;提出弥补措施;请求原谅。写 道歉信的语言要诚挚,解释的理由要真实,不要显出丝毫的虚情假意。好的道歉信不仅会取 得对方的谅解,还会增进彼此的感情。 写作三步走:

表示歉意-说明具体原因、提出补救办法-再次致歉、希望得到理解 tips: 在写作过程中,尽可能提供比较合理的理由。如果违反生活常识将导致扣分。 在解释完原因后,尽量提供一个合适的补救办法,使行文更加完满。 订阅收藏《考研英语写作范文100篇》系列文章

1 diretions: ou should rite about 100 ords on anser sheet

do not sign our on name at the end of the letter. use li ming instead. do not rite the address.范文:

dear anne, please allo me to sa sorr again. regards, li ming译文:


感谢你邀请我于明日晚上与你和你的家人共进午餐。可是,我非常遗憾地告诉你我无法 赴约,因为我将忙于准备后天的一门重要考试。错过了这么一个欢乐的聚会我深感遗憾,我 希望你们能度过一个愉快的时光。对了,在我考试后我们可以见一面么?如果可以的话请随时给我打电话,我非常期待能和你愉快地聊天。 请允许我再一次致歉。您真诚的, 李明闪光词汇及词组:

oup: v. 占用,占 get-together: n. 聚会,联欢会 hesitate: v. 犹豫,踌躇 drop sb. a line: 给某人打一个电话 preferable: adj. 更好的,更可取的 long for sth: 渴望 万能句型:

thank ou for our invitation to dinner at our home tomorro evening. unfortunatel, it is muh to m regret that i annot... i feel terribl sorr for missing the hane of... is it possible for ou and me to have a private meeting afterards?if so, please dont hesitate to drop me a all about our preferable date.please allo me to sa sorr again.

2diretions:ou failed to finish an important task assigned b our professor beause of a severe illness. rite a letter to our professor tp express our apolog, explain our reason, and suggest a solution to make up the loss.ou should rite about 100 ords on anser sheet

do not sign our on name at the end of the letter. use li ming instead. do not rite the address.范文:

dear prof. patent,i ould be ver muh obliged if ou ould grant me another eek for the task, as m health is turning better.hope ou an understand m situation and aept m apolog. ours faithfull, li ming译文:


我非常遗憾地告知您我没有完成您上周布置的读书报告,因为几天前我突然生病了。过 去的几天中我一直持续高烧,住在医院,因此无法进行任何学术活动。随信是医生的诊断书。 如果您能再给一周时间来完成它我将感激不尽,因为现在我的身体正在好转。 希望您能 理解我的处境并接受我的道歉。您真诚的, 李明闪光词汇及词组:

assign: v. 分配,指派 fall upon s

b: 降临到某人身上ontinuous: adj. 持续的 prevent sb from sthdoing sth: 使某人不能做某事 here

b: adv. 因此,据此submit: v. 提交,递交oblige

d: adj. 感激的 grant: v. 同意,准予 万能句型:

i ould be ver muh obliged if ou ould grant me another eek for the task.hope ou an understand m situation and aept m apolog. apologize letter __ business english_ b lq dear sir or madam,i’m riting this letter to apologize to ou. i’m so sorr that e made a mistake about the shipment of vauum leaners.those vauum leaners e sent to ou ere meant to be sent to european ountries, but as the old orker as retired, the ne one asn’t so experiened. besides, the model number and the prie of goods in marh and jul are so similar that the orker mistaken them.i am afull sorr for this and e promise ou a replaement shipment. e ill also give a 10% i do apologize for an inonveniene this ma ause ou and i ill tr m bestto avoid the same aident happening again. 道歉信是人们经常使用的一种书信文体,用以表达自己的歉意,查字典特意为 大家整理了关于道歉信范文的相关材料,希望对您的工作和生活有帮助。 letter of apolog . sample stud sample i dear susan, please let me kno if ou ill be available on saturda morning.best ishes hen heng sample ii dear mar, i’m ver sorr for not having replied to our jul 6th letter sooner. hen our letter arrived, i as in beijing. as m seretar ouldn’t forard it to me, it has been ling on m desk until i got bak. look forard to athing up and one again apologize for the dela.sinerel, tom 英语道歉信范文及常用句式 道歉信是指因过失或疏忽做错了事,给别人带来了麻烦或损失,发觉后要立即写信给对 方赔礼道歉时写的信件。道歉是一种礼貌,道歉信要写得坦率,诚恳。道歉信通常包括三部分内容:


2、出现差错的原因,提出弥 补措施;

3、请求原谅。语言要诚挚,解释的理由要真实。好的道歉信不仅会取得对方的谅解, 还会增进彼此的感情。写作三步曲:

表示歉意说明具体原因、提出补救办法再次致歉,希望得到理解。 注意:

理由要尽量合理,违反生活常识将导致扣分;尽量提供一个合适的补救办法,使行文更 加顺畅。范文解析:

diretions: ou ere unable to attend mr. smiths examination on international business english riting beause ou got sik that morning. rite a letter to express the reasons for not being able to attend it and apologize. rite the letter ith no less than 100 ords. do not sign our on name at end of the letter. use ang hua instead. do not rite the address.dear mr. smith, i am indeed ver sorr that i missed the examination on international business english riting ou gave last frida. i feel aful about it and ant ou to kno hat happened that da. i suddenl fell sik earl that morning and m parents had to send me to the hospital. please find enlosed a op of the medial bill. sinerel ours, ang hua ◆常用句式:

1i am riting to apologize for ? i am riting to sa sorr for我写这封信是因向你致歉。

2i ould like to give ou m apolog for? 对于我向你道歉。

3please aept m sinere apolog for? 关于请接受我真诚的道歉。

4i am indeed ver sorr for hat i saiddid, but believe i had nointention to? 对于我说的话做的事,我确实感到很抱歉。但请相信,我并非故意要

5please forgive me for a stupid hoie of ords. 请原谅我说话欠妥。

6 i feel afull sorr about it and ant ou to kno hat happened. 为此我感到非常内疚,所以想告诉你实情。

7please aept m apologies for m oversight. 请原谅我的疏忽。

8please allo me to sa sorr again. 请允许我再次表示歉意。

9i sinerel hope ou an understand m situationthink in m position and aept m apologies.


致歉信关于失约致歉 致歉信关于失约致歉失约致歉 请根据下列内容提示给你的朋友alan写一封致歉信。他住在driffield。假设你名叫tom 住在pigston 参考词语:

apologize about last thursda lost m allet----found ittoo late for the train took the bus, but a rong one ent to milford didnt speak to ou on the phone----tried, no anser fix some other time an apolog for not keeping an appointment jul 24,9___ dear alan, im riting to apologize about last thursda. i am terribl sorr that i didnt go to see ou, for i lost m allet. ana, i found it. but it as too late for the train. i had to take the bus. hat a pit that i took a rong one. it ent to milford. there, i aited for half an hour for a bus to driffield. it as muh orse that on the a to our home, the bus broke don. so i just ent bak home to pigston. i reall do apologize beause i didnt speak to ou on the phone, but it asnt m fault. i tried several times, but there as no anser. ana, ho about next thursda? love, tom 1)这是一封私人信件。私人书信一般不写信内地址和信头里的地址,但是信头里的日期不能省去。 2)致歉信应包括三个部分:



③后果及解决办法。 3)私人书信,尤其是亲属间和朋友间的信件属于非正式书信,所以要用非正式文体来写; 就是说信文中可以出现缩约形式,如im ritingdidnt等,也可以用像phone这类非正式 词语。句法结构简短,随便。


英语道歉信范文及常用句式英语道歉信范文及常用句式 道歉信是指因过失或疏忽做错了事,给别人带来了麻烦或损失,发觉后要立即写信给对 方赔礼道歉时写的信件。道歉是一种礼貌,道歉信要写得坦率,诚恳。道歉信通常包括三部分内容:


2、出现差错的原因,提出弥 补措施;

3、请求原谅。语言要诚挚,解释的理由要真实。好的道歉信不仅会取得对方的谅解, 还会增进彼此的感情。 写作三步曲:


理由要尽量合理,违反生活常识将导致扣分;尽量提供一个合适的补救办法,使行文更 加顺畅。 范文解析:

diretions: ou ere unable to attend mr. smiths examination on international business english riting beause ou got sik that morning. rite a letter to express the reasons for not being able to attend it and apologize. rite the letter ith no less than 100 ords. do not sign our on name at end of the letter. use ang hua instead. do not rite the address.dear mr. smith, i am indeed ver sorr that i missed the examination on international business english riting ou gave last frida. i feel aful about it and ant ou to kno hat happened that da.i suddenl fell sik earl that morning and m parents had to send me to the hospital. please find enlosed a op of the medial bill. sinerel ours, ang hua ◆常用句式:

1i am riting to apologize for ? i am riting to sa sorr for 我写这封信是因向你致歉。

2i ould like to give ou m apolog for? 对于我向你道歉。

3please aept m sinere apolog for? 关于请接受我真诚的道歉。

4i am indeed ver sorr for hat i saiddid, but believe i had nointention to? 对于我说的话做的事,我确实感到很抱歉。但请相信,我并非故意要

5please forgive me for a stupid hoie of ords. 请原谅我说话欠妥。

6 i feel afull sorr about it and ant ou to kno hat happened. 为此我感到非常内疚,所以想告诉你实情。

7please aept m apologies for m oversight. 请原谅我的疏忽。

8please allo


给朋友的一封道歉信 给自己的一封道歉信 亲爱的自己:

今天你的胃又疼了,原因是你今天早上又没吃早餐。昨天早上你倒是吃早餐了,但是就 是因为那2个榨菜包子,导致你上吐下泻,你总是虐待自己的胃。还有自从你参加工作以后, 你每天晚上都是要12点以后才睡觉。你的眼睛总是黑黑的,甚至有点肿。自从你做项目开始, 你更是不分昼夜,曾经爱睡懒觉的你,不需要闹钟也会自己醒来。你到南京出差后,你吃了 一个月的饺子,导致你后来只要一看到饺子就想吐。后来你又接连吃了一个月的面。各种各 样的面,你的体重,从之前的86斤下降到82斤。长期出差,你开始经常要坐车,一坐就是 几个小时,你晕车的时候,就使劲的掐自己,或者就是咬自己的舌头。好几次,眼泪都出来 了。小小的你,一个人背着电脑,拉着行李箱,到一个陌生的城市。你一个人吃饭,一个人 走路。所有的事情都是一个人做。你还要轻声细语的跟客户说话,你的领导,有事求你做 的时候,还会跟你说几句好听的,但是一旦你有什么没有做好,免不得又是一顿批评。还记 得,你们在无锡出差的时候,你的领导,天天让你们晚上上班上到凌晨4点,别人是上晚班, 可是你们是上白班加晚班。可气的是,你们在那里什么事情都没有,只是坐在那里陪他加班。 在那里你吃了一个星期的泡面。你反抗,但是没用,你的领导不是个讲理的人。你就这样委 屈着自己,你喜欢旅游,可是现在即使是周末,也基本上是宅在家里面。你已经有5个月没 有出去跟同学,朋友聚会了。每次准备周末出去的时候,你总是起不来,要不就是有客户给 你打电话,又要解决突发问题,你的休息时间就这样都被牺牲了。 亲爱的自己:

你现在才20岁。你每天重复着做相同的事情。你开始动不动就发脾气。你 为了工作,你把自己留了5年的头发给剪了。亲爱的自己,对不起,我不该没有好好的爱惜 自己。


一封道歉信 一封道歉信 亲爱的小河:

你好! 从我三岁的时候,怎俩就在一起度过许多美好的时光。咱们在一起玩打水仗:

拍你一下, 你还我一下,最后弄的我一时半会睁不开眼睛;我还穿着游泳衣,在你身上来回穿行,那时, 觉得十分有趣;但我那时还太小,不懂事,所以我把果皮、瓜子皮等杂物扔给了你。当时, 我还不知,那小小的垃圾和杂物,会帮你毁容,毁的那样难看,那样乱。 自从我学了《一个苹果》和《水就是生命》这两篇文章后,我才知道你有多重要,多珍 贵。我经过了一段时间的反思后,我才知道我错了,真是对不起了。 我可以和你一起分享无限的快乐,可我不能把你当成一个垃圾箱,往你身上丢弃垃圾。 所以,我现在给你写一封道歉信:

我曾今破坏过、伤害过你,实在是太对不起了,我的好朋 友小河! 原谅我吧,亲爱的小河! 陕西省宝鸡市宝成小学五年级 韩笑


一封道歉信 一封道歉信 亲爱的小河:

你好! 从我三岁的时候,怎俩就在一起度过许多美好的时光。咱们在一起玩打水仗:

拍你一下, 你还我一下,最后弄的我一时半会睁不开眼睛;我还穿着游泳衣,在你身上来回穿行,那时, 觉得十分有趣;但我那时还太小,不懂事,所以我把果皮、瓜子皮等杂物扔给了你。当时, 我还不知,那小小的垃圾和杂物,会帮你毁容,毁的那样难看,那样乱。 自从我学了《一个苹果》和《水就是生命》这两篇文章后,我才知道你有多重要,多珍 贵。我经过了一段时间的反思后,我才知道我错了,真是对不起了。我可以和你一起分享无限的快乐,可我不能把你当成一个垃圾箱,往你身上丢弃垃圾。 所以,我现在给你写一封道歉信:

我曾今破坏过、伤害过你,实在是太对不起了,我的好朋 友小河! 我今后绝不往你身上丢弃垃圾,我要让你回到原来那无污染、无破坏的你。我要让你变 回原来那样纯净、美丽!原谅我吧,亲爱的小河! 陕西省宝鸡市宝成小学五年级 韩笑篇


一封道歉信 一封道歉信 亲爱的小河:

你好! 从我三岁的时候,怎俩就在一起度过许多美好的时光。咱们在一起玩打水仗:

拍你一下, 你还我一下,最后弄的我一时半会睁不开眼睛;我还穿着游泳衣,在你身上来回穿行,那时, 觉得十分有趣;但我那时还太小,不懂事,所以我把果皮、瓜子皮等杂物扔给了你。当时, 我还不知,那小小的垃圾和杂物,会帮你毁容,毁的那样难看,那样乱。 自从我学了《一个苹果》和《水就是生命》这两篇文章后,我才知道你有多重要,多珍 贵。我经过了一段时间的反思后,我才知道我错了,真是对不起了。 我可以和你一起分享无限的快乐,可我不能把你当成一个垃圾箱,往你身上丢弃垃圾。 所以,我现在给你写一封道歉信:

/*
Run P
{"formula": "C6H15NS", "method": "wB97M-V/def2-TZVPD", "e_lumo_ha": -0.1092, "homo_lumo_gap_ev": 5.15, "homo_energy_ev": -8.1, "elements": ["C", "N", "C", "C", "S", "C", "C", "C", "H", "H", "H", "H", "H", "H", "H", "H", "H", "H", "H", "H", "H", "H", "H"], "coordinates": [[1.4415, -0.0104, -0.7489], [0.7513, -1.1116, -1.2388], [-0.3964, -1.3128, -0.3644], [-1.5129, -0.1058, -0.1192], [-1.3716, 1.5032, 0.9157], [-1.1571, -2.4569, -1.2157], [1.7694, 0.1215, 0.9559], [2.1072, 1.5621, 1.3240], [0.7408, 0.9042, -0.7649], [2.3714, 0.1419, -1.2464], [-0.3700, -1.7676, 0.5700], [-0.9464, 0.9423, -3.0380], [-2.3840, -0.6246, 0.4104], [-1.8243, 0.2372, -1.0966], [-0.4826, 0.3410, -2.9913], [-1.2984, -2.2185, -2.2132], [-2.0718, -2.6304, -0.7265], [-0.5821, -3.3556, -1.0715], [0.9528, -0.1482, 1.6172], [2.6135, -0.6285, 1.1680], [2.1122, 1.6259, 2.3729], [1.2774, 2.1971, 0.9916], [3.0676, 1.9290, 1.0482]], "nbo_charge": [-0.30, -0.16, -0.13, -0.54, -0.17, -0.58, -0.36, -0.64, 0.28, 0.21, 0.24, 0.00, 0.25, 0.22, -0.01, 0.21, 0.19, 0.21, 0.22, 0.21, 0.22, 0.23, 0.21]}

Run Q
{"formula": "C6H15NS", "method": "wB97M-V/def2-TZVPD", "e_lumo_ha": -0.0289, "homo_lumo_gap_ev": 8.07, "homo_energy_ev": -8.9, "elements": ["C", "N", "C", "C", "S", "C", "C", "C", "H", "H", "H", "H", "H", "H", "H", "H", "H", "H", "H", "H", "H", "H", "H"], "coordinates": [[-0.5288, -0.7513, -1.0846], [-0.4542, -0.2159, 0.3428], [-0.4179, 1.2493, 0.4049], [-0.8839, 1.7018, 1.8086], [-0.7773, 3.5398, 1.8404], [0.9251, 1.7897, -0.0468], [-0.4367, -2.2970, -1.1451], [1.0278, -2.7072, -0.9620], [-1.4900, -0.4778, -1.5408], [0.3003, -0.2697, -1.5714], [-1.1851, -0.7284, 0.8146], [-1.2537, 1.6554, -0.1844], [-1.9205, 1.3916, 1.9002], [-0.1543, 1.3399, 2.5683], [1.0211, 3.2043, 2.5016], [1.0678, 1.4958, -1.1455], [1.1002, 2.8387, 0.1736], [1.6424, 1.1888, 0.5429], [-0.8139, -2.6364, -2.1057], [-1.0161, -2.7183, -0.2881], [1.1796, -3.8059, -0.9080], [1.6075, -2.4903, -1.8899], [1.4608, -2.2969, -0.0255]], "nbo_charge": [-0.21, -0.65, -0.06, -0.52, -0.03, -0.64, -0.41, -0.62, 0.17, 0.19, 0.36, 0.16, 0.22, 0.22, 0.12, 0.21, 0.24, 0.21, 0.21, 0.19, 0.21, 0.20, 0.22]}

run Q is favored, and the nearest alternative lies 0.1432 hartree above it.

Run P
*/

我曾今破坏过、伤害过你,实在是太对不起了,我的好朋 友小河! 我今后绝不往你身上丢弃垃圾,我要让你回到原来那无污染、无破坏的你。







3、高考之后一定多帮父母做些家务,还要让父母品尝一下自己亲手做的菜。 注意:


2、可适当增加细节,使行文连贯。 范文:

Dear parents, No I kno learl that ou both are expeting me anxiousl. I an sa nothing but thanks to ou both on this speial oasion, beause ords have failed me hen I ant to express m thanks to ou both for the loving are ou have shon for me, espeiall sine I ent to Senior Three. These das I have been studing hard and have made some progress. And everthing has got along ell ith m ollege entrane examination. I have performed m abilit in this exam. I hope ou both an set our mind at rest. After this exam, I intend to help ou do some houseork hih I have seldom done before. And I also mean to learn to ook in order to prepare a dinner for ou both in person. M dear parents, everthing is going on ell ith me and do have a rest! Best ishes


